Request >
The reader should set down the block below without additions.

Listing >
'''
The following is a quantum chemistry calculation of an isolated molecule of C3H8N2O, from OMol25.

Results
2S+1: 1

CARTESIAN COORDINATES (ANGSTROEM)
C  0.93244  -1.82699  1.02467
C  0.10066  -0.55249  0.93971
C  -0.48552  1.02608  -0.70981
H  0.78089  -2.40686  0.09371
H  2.04311  -1.59418  1.18715
H  0.61119  -2.42216  1.89494
H  0.33215  0.12826  1.77046
H  -0.99804  -0.75335  1.07785
H  -0.68016  2.29883  -2.29252
H  0.68789  1.14855  -2.41425
H  -2.17401  1.95545  -0.43200
N  -0.08766  1.58888  -1.89853
N  -1.49856  1.29308  0.04025
O  0.43561  0.11690  -0.28162

Here are the Löwdin charges for atoms 1 to 2, given in e: number 1, C, carries -0.088; number 2, C, carries -0.278

=====

The following is a quantum chemistry calculation of a cluster of 4 separate species, C27H28BBrClF2N4O10S in total, from OMol25.

Results
2S+1: 1
Charge: +1

CARTESIAN COORDINATES (ANGSTROEM)
C  2.48013  -2.65747  0.16291
C  1.89913  -1.37243  -0.48991
O  0.85189  -1.65466  -1.43245
B  -0.37954  -1.14086  -1.20273
O  -1.27599  -1.22151  -2.23260
N  -0.88617  -0.42192  0.02292
C  -0.81402  0.84891  0.34035
N  -1.30079  1.27035  1.55626
C  -1.05767  2.56050  1.58275
Cl  -1.58556  3.36512  2.97935
N  -0.43703  2.94568  0.44535
S  0.03162  4.54784  0.20310
O  -0.22727  5.37062  1.31071
O  1.39247  4.51054  -0.15251
F  -0.75735  4.93165  -1.09550
N  -0.28960  1.86456  -0.40403
C  0.29372  2.00362  -1.71453
C  -0.69493  1.74182  -2.89948
F  1.45357  1.27118  -1.85368
C  -1.56687  -1.30265  1.02116
Br  -1.21606  -3.20671  0.56763
C  -3.11244  -1.16476  1.02081
C  -3.74943  -0.70292  -0.31356
H  3.33197  -3.01697  -0.43050
H  2.91785  -2.34697  1.12342
H  1.72301  -3.42894  0.31687
H  2.73629  -0.94666  -1.06361
H  1.66960  -0.63482  0.29240
H  -0.84969  -1.60733  -3.01275
H  0.63692  3.02254  -1.93290
H  -1.67488  1.53593  -2.44441
H  -0.82089  2.64709  -3.50326
H  -0.36708  0.88884  -3.49805
H  -1.11845  -1.20869  2.01318
H  -3.34800  -0.38606  1.76770
H  -3.58744  -2.09021  1.35947
H  -4.72724  -0.26502  -0.06492
H  -3.97312  -1.57818  -0.93795
H  -3.18926  0.06652  -0.85143
C  -4.83389  5.36832  0.88592
C  -4.43640  4.26344  0.26222
C  -5.40712  3.33717  -0.36213
O  -5.03150  2.32874  -0.92782
C  -6.84271  3.68527  -0.26963
C  -7.24668  4.79066  0.35337
C  -6.27447  5.72022  0.97972
O  -6.63607  6.72576  1.54519
H  -4.13783  6.05677  1.34947
H  -3.39110  3.98779  0.18123
H  -7.53620  2.99546  -0.73317
H  -8.29159  5.06182  0.43189
C  4.67004  1.40862  -3.46108
C  4.47230  1.18288  -2.16521
C  5.57630  0.73212  -1.28544
O  5.38934  0.52425  -0.10378
C  6.91055  0.54404  -1.90193
C  7.11017  0.76999  -3.19869
C  6.00562  1.22080  -4.08035
O  6.18426  1.42869  -5.25971
H  3.87593  1.73721  -4.12017
H  3.50849  1.31465  -1.69618
H  7.70374  0.21519  -1.24272
H  8.07691  0.63752  -3.66727
C  2.97600  -6.88737  4.32349
C  2.78432  -5.61843  3.97143
C  1.64239  -5.22271  3.11491
O  1.46903  -4.06338  2.79178
C  0.72007  -6.29202  2.66569
C  0.90979  -7.56124  3.01645
C  2.05349  -7.95899  3.87454
O  2.22590  -9.11297  4.19579
H  3.80463  -7.19608  4.94787
H  3.44638  -4.82325  4.28995
H  -0.10870  -5.98272  2.04135
H  0.24721  -8.35578  2.69751

Here are the Löwdin charges for atoms 1 to 2, given in e: number 1, C, carries -0.053; number 2, C, carries -0.209

=====

Q: Which E_tot values were calculated for the entries above? A: -303.85493; -5673.75107, in a.u..
Q: Which F_max values were calculated for the entries above? A: 1.87; 3.65, in eV/Å.
'''

Written answer >
The following is a quantum chemistry calculation of an isolated molecule of C3H8N2O, from OMol25.

Results
2S+1: 1

CARTESIAN COORDINATES (ANGSTROEM)
C  0.93244  -1.82699  1.02467
C  0.10066  -0.55249  0.93971
C  -0.48552  1.02608  -0.70981
H  0.78089  -2.40686  0.09371
H  2.04311  -1.59418  1.18715
H  0.61119  -2.42216  1.89494
H  0.33215  0.12826  1.77046
H  -0.99804  -0.75335  1.07785
H  -0.68016  2.29883  -2.29252
H  0.68789  1.14855  -2.41425
H  -2.17401  1.95545  -0.43200
N  -0.08766  1.58888  -1.89853
N  -1.49856  1.29308  0.04025
O  0.43561  0.11690  -0.28162

Here are the Löwdin charges for atoms 1 to 2, given in e: number 1, C, carries -0.088; number 2, C, carries -0.278

=====

The following is a quantum chemistry calculation of a cluster of 4 separate species, C27H28BBrClF2N4O10S in total, from OMol25.

Results
2S+1: 1
Charge: +1

CARTESIAN COORDINATES (ANGSTROEM)
C  2.48013  -2.65747  0.16291
C  1.89913  -1.37243  -0.48991
O  0.85189  -1.65466  -1.43245
B  -0.37954  -1.14086  -1.20273
O  -1.27599  -1.22151  -2.23260
N  -0.88617  -0.42192  0.02292
C  -0.81402  0.84891  0.34035
N  -1.30079  1.27035  1.55626
C  -1.05767  2.56050  1.58275
Cl  -1.58556  3.36512  2.97935
N  -0.43703  2.94568  0.44535
S  0.03162  4.54784  0.20310
O  -0.22727  5.37062  1.31071
O  1.39247  4.51054  -0.15251
F  -0.75735  4.93165  -1.09550
N  -0.28960  1.86456  -0.40403
C  0.29372  2.00362  -1.71453
C  -0.69493  1.74182  -2.89948
F  1.45357  1.27118  -1.85368
C  -1.56687  -1.30265  1.02116
Br  -1.21606  -3.20671  0.56763
C  -3.11244  -1.16476  1.02081
C  -3.74943  -0.70292  -0.31356
H  3.33197  -3.01697  -0.43050
H  2.91785  -2.34697  1.12342
H  1.72301  -3.42894  0.31687
H  2.73629  -0.94666  -1.06361
H  1.66960  -0.63482  0.29240
H  -0.84969  -1.60733  -3.01275
H  0.63692  3.02254  -1.93290
H  -1.67488  1.53593  -2.44441
H  -0.82089  2.64709  -3.50326
H  -0.36708  0.88884  -3.49805
H  -1.11845  -1.20869  2.01318
H  -3.34800  -0.38606  1.76770
H  -3.58744  -2.09021  1.35947
H  -4.72724  -0.26502  -0.06492
H  -3.97312  -1.57818  -0.93795
H  -3.18926  0.06652  -0.85143
C  -4.83389  5.36832  0.88592
C  -4.43640  4.26344  0.26222
C  -5.40712  3.33717  -0.36213
O  -5.03150  2.32874  -0.92782
C  -6.84271  3.68527  -0.26963
C  -7.24668  4.79066  0.35337
C  -6.27447  5.72022  0.97972
O  -6.63607  6.72576  1.54519
H  -4.13783  6.05677  1.34947
H  -3.39110  3.98779  0.18123
H  -7.53620  2.99546  -0.73317
H  -8.29159  5.06182  0.43189
C  4.67004  1.40862  -3.46108
C  4.47230  1.18288  -2.16521
C  5.57630  0.73212  -1.28544
O  5.38934  0.52425  -0.10378
C  6.91055  0.54404  -1.90193
C  7.11017  0.76999  -3.19869
C  6.00562  1.22080  -4.08035
O  6.18426  1.42869  -5.25971
H  3.87593  1.73721  -4.12017
H  3.50849  1.31465  -1.69618
H  7.70374  0.21519  -1.24272
H  8.07691  0.63752  -3.66727
C  2.97600  -6.88737  4.32349
C  2.78432  -5.61843  3.97143
C  1.64239  -5.22271  3.11491
O  1.46903  -4.06338  2.79178
C  0.72007  -6.29202  2.66569
C  0.90979  -7.56124  3.01645
C  2.05349  -7.95899  3.87454
O  2.22590  -9.11297  4.19579
H  3.80463  -7.19608  4.94787
H  3.44638  -4.82325  4.28995
H  -0.10870  -5.98272  2.04135
H  0.24721  -8.35578  2.69751

Here are the Löwdin charges for atoms 1 to 2, given in e: number 1, C, carries -0.053; number 2, C, carries -0.209

=====

Q: Which E_tot values were calculated for the entries above? A: -303.85493; -5673.75107, in a.u..
Q: Which F_max values were calculated for the entries above? A: 1.87; 3.65, in eV/Å.